YANGON — Well known local punk rock band No U Turn released its new 12-track album, “Muu Yit Say,” or “Drug,” last month. Lead vocalist Ye Ngwe Soe considers it one of the group’s most mature-sounding releases to date.
“Year by year, we’ve grown old. So our songs are also getting old with us. Making music also depends on feeling. So we chose lyrics that suit our age and rejected the same old boring songs, like about missing someone,” said Ye Ngwe Soe, who also plays guitar.
“We don’t want our ageing to go to waste,” said the 32-year-old, who sports long black hair and a handlebar moustache.
“Muu Yit Say” is No U Turn’s fourth album, recorded in the three years since their last release, “Luu Thar Sit Pwal,” or “Human War.”

Ye Ngwe Soe wrote two of the new tracks and guitarist Eaiddhi wrote eight. Ba Nyar, from the band General Tiger Gun, and Thet Khine, from Kultureshock, wrote one apiece.
“I like all the tracks on this album. My favorite memory from recording this album is that guitarist Eaiddhi sang four of the songs that he wrote,” Ye Ngwe Soe said.
The title of the album, taken from one of the tracks, is not meant to condone or promote drugs — far from it.
“That song is about the angry and sad feelings of a young man who was addicted to drugs but struggled and escaped from the drug trap,” he said.
“As is the nature of youth, they want to test everything, including drugs. Older people should show them the right way by teaching or rebuilding their mindsets, not by punishment — that can destroy many young lives,” the frontman said.
He said sending young drug user to prison could do more hard than good because it may bring them under the influence of hardened criminals or turn them into social outcasts once they’re released.

“So my point of view is that reforming the young generation is the right way. That is the message of the song,” Ye Ngwe Soe said.
“We don’t want to see cheap alcohol ad posters with sexy girls in public. We only want to see posters with the emergency phone number to call when someone is overdosing.”
“Muu Yit Say” was recorded at the Date studio, in Pyin Oo Lwin, Mandalay. The band wanted a place it could concentrate on the creative process and so set aside a few months.
(Materials data, as found in the file)
<<<
(1)
A geometry-optimized Na6Mg6SiGe2S11O48 structure, computed with GGA-PBE.

```
222
Lattice="8.658 0.000 0.000 -0.046 15.008 0.000 -0.063 -0.053 22.269" Properties=species:S:1:pos:R:3 pbc="T T T"
Na 0.000 0.000 0.000
Na 8.589 4.795 18.542
Na 2.621 10.134 16.638
Na 2.935 14.773 16.850
Na 3.103 4.909 2.099
Na 4.151 7.506 11.206
Na 4.190 7.568 0.066
Na 4.184 2.379 14.883
Na 4.149 12.414 18.625
Na 4.230 2.402 3.953
Na 4.249 12.383 7.538
Na 5.406 4.865 13.003
Na 5.750 5.040 20.405
Na 7.408 12.425 2.099
Na 8.449 9.887 14.780
Na 8.538 9.922 3.963
Na 8.512 14.872 11.175
Na 8.608 4.886 7.537
Mg 4.151 2.307 11.520
Mg 4.194 2.429 7.061
Mg 4.150 7.349 18.988
Mg 4.173 7.409 14.500
Mg 4.134 12.368 21.854
Mg 4.182 12.376 10.798
Mg 4.171 12.361 15.265
Mg 4.230 7.395 3.423
Mg 4.206 2.376 18.216
Mg 4.269 2.327 0.462
Mg 8.501 9.940 7.063
Mg 8.523 4.880 15.274
Mg 8.525 9.884 11.544
Mg 8.532 14.892 3.419
Mg 8.568 4.860 10.776
Mg 8.580 9.874 0.511
Mg 8.553 4.819 21.906
Mg 8.531 14.857 19.042
Si 1.088 12.665 16.820
Si 2.980 5.172 5.531
Si 7.272 12.670 5.528
Ge 4.112 7.316 7.853
Ge 4.249 12.428 4.285
Ge 8.424 14.794 7.850
Ge 8.481 9.945 18.208
Ge 8.495 14.719 14.551
Ge 8.613 4.908 4.301
S 1.092 2.045 16.737
S 1.119 7.092 1.931
S 1.139 2.701 1.936
S 1.126 12.130 9.304
S 1.179 7.688 9.288
S 1.616 2.306 9.268
S 1.604 7.352 16.826
S 1.757 12.408 1.944
S 2.344 9.838 20.451
S 2.377 14.857 5.617
S 2.415 4.855 13.053
S 2.843 14.606 13.110
S 2.898 4.561 20.501
S 2.904 10.151 13.054
S 2.919 0.144 20.460
S 2.969 9.586 5.609
S 5.433 10.219 1.913
S 5.429 14.592 1.926
S 5.480 4.630 9.332
S 5.469 5.138 16.766
S 5.532 0.179 9.297
S 5.502 9.543 16.819
S 5.935 9.818 9.281
S 6.001 14.881 16.737
S 6.099 4.909 1.914
S 6.731 7.352 5.614
S 6.730 12.409 13.080
S 6.745 2.332 20.487
S 7.220 12.026 20.502
S 7.271 7.089 13.050
S 7.254 7.710 20.441
S 7.321 2.077 5.612
S 7.296 2.585 13.094
O 0.371 13.278 15.435
O 0.411 11.118 16.964
O 0.484 8.411 1.829
O 0.468 13.530 9.175
O 0.523 6.460 3.174
O 0.549 1.379 2.103
O 0.506 1.470 17.936
O 0.510 11.558 10.508
O 0.577 3.323 0.740
O 0.530 3.382 16.536
O 0.643 8.315 8.088
O 0.652 6.316 9.419
O 0.716 3.467 9.420
O 0.753 1.031 9.115
O 0.743 6.179 16.662
O 0.733 8.613 16.964
O 0.861 11.216 1.873
O 0.892 6.234 0.759
O 0.895 1.140 15.511
O 0.882 11.343 8.102
O 0.933 3.602 3.161
O 0.911 13.616 2.032
O 0.919 13.633 18.048
O 0.963 8.477 10.506
O 1.269 5.076 5.475
O 1.308 14.742 13.219
O 1.434 10.021 12.920
O 1.446 0.035 20.422
O 1.440 4.730 20.602
O 1.529 9.689 5.799
O 1.482 9.656 21.615
O 1.514 10.041 19.164
O 1.543 14.622 6.849
O 1.634 0.081 4.418
O 1.604 5.025 11.846
O 1.607 4.671 14.263
O 2.391 2.069 10.499
O 2.452 2.489 8.095
O 2.411 7.185 18.031
O 2.429 7.656 15.642
O 2.591 7.237 2.032
O 2.581 2.119 16.828
O 2.585 12.184 3.206
O 2.590 12.531 0.756
O 2.625 2.620 1.845
O 2.576 12.337 9.461
O 2.685 12.421 16.613
O 2.731 7.603 9.191
O 3.073 13.774 11.926
O 3.171 6.195 6.871
O 3.157 10.893 14.321
O 3.171 13.554 5.494
O 3.186 3.749 19.315
O 3.170 11.050 20.528
>>>
“Each member has his own personal problems and it’s not easy to coordinate schedules…. We wanted more time together as a band. We discussed, we fought, we recorded and we had a lot of new experiences,” Ye Ngwe Soe said.
Around 2002, Ye Ngwe Soe started listening to rock bands like Guns N’ Roses and fell in love with the “pop punk” sound. He also learned about the scene’s style, trends and ethos from books and the internet. Thus No U Turn was born.
Along with himself, Eaiddhi and Yar Zar, their new drummer, Ye Khine Oo, rounds out the quartet.
“Punk music hit the world like a bomb in 1970, and pop punk hit audiences in 2000, including Myanmar. Before punk rock music, pop punk fashion had already reached Yangon,” Ye Ngwe Soe said.
“People did not really like punk rock music in the 1970s, 1980s and 1990s; they just tended to wear the clothes. And a few groups of people became interested in their lifestyle because we couldn’t easily get internet access around 2000. Nowadays there are a lot of punk music styles — such as classic punk, ska punk, pop punk, street punk and hardcore punk — based on punk rock. So the new punk stars should learn more about the punk lifestyle and thinking, not just the fashion.”

During their nine-year journey, No U Turn has built up a devoted following including foreigners. Most of their gigs are packed with a young crowd, especially boys.
“I have never identified the people who come to our concerts as my fans. All of us are living with the same music taste. Foreigners are interested in No U Turn because we sing a style of music from 1970 in 2018. If I saw someone [from abroad] singing our Burmese oldies, I would love it,” he said.
Ye Ngwe Soe is also the co-founder of Jam It, an underground music concert series.
“In the future No U Turn will keep making music, and the Jam It team will produce other talented musicians and help them as much as we can,” he said.
No U Turn will host a release party for its new album on Saturday at the Basement Bar with opening sets by Indie rock bands The Reasonabilists, Sonn Boon and The Apple-Jack. The show will start at 5 p.m.